A Hilly City Approach for the Vehicle Routing Problems

  • place:

    Gebäude 05.20, Raum 4A-09

  • sws:

    7. Juni 2018

  • Referent:

The following is a DFT calculation (GGA-PBE) of a geometry-optimized PmPu4Au5 structure.

The value obtained for the energy relative to the elements is -10.82 kcal/mol of atoms. The magnetic moment is 0.12 Bohr magnetons per cell. As for the density of states at the Fermi level: 38.2 states/eV per cell.

It has space group P4/mmm (No. 123), with a = 3.5914 Å, b = 3.5914 Å, c = 18.8336 Å, α = 90.00°, β = 90.00° and γ = 90.00°. Symmetry generates all atoms from Pm at (0.0000, 0.0000, 0.0000), Pu at (0.0000, 0.0000, 0.2009), Pu at (0.0000, 0.0000, 0.4008), Au at (0.5000, 0.5000, 0.0983), Au at (0.5000, 0.5000, 0.3004) and Au at (0.5000, 0.5000, 0.5000).

----------

Below is an optimized crystal structure of LaNd3Tl, with properties calculated at the GGA-PBE level.

Computed properties:
**Energy of formation**: 0.3133 eV/atom
**Symmetry**: R-3m
**Excess energy over the best structure of this formula in the dataset**: 0.450 eV per atom
**Total magnetization**: 1.59 μB per cell
**E**: -0.1472 Ha/atom

Cell lengths 6.331, 6.331, 6.331 Å; angles 109.05, 109.05, 109.05 degrees
Atoms (fractional coordinates):
La 0.000 0.000 0.000
Nd 0.000 0.500 0.500
Nd 0.500 0.000 0.500
Nd 0.500 0.500 0.000
Tl 0.500 0.500 0.500

----------

Entry 1:
# LiZn2Cd, relaxed, DFT PBE
data_LiZn2Cd
_chemical_formula_sum 'Li2 Zn4 Cd2'
_symmetry_space_group_name_H-M 'I -4 m 2'
_symmetry_Int_Tables_number 119
_symmetry_space_group_name_Hall 'I -4 -2'
_cell_length_a 4.482
_cell_length_b 4.482
_cell_length_c 6.491
_cell_angle_alpha 90.00
_cell_angle_beta 90.00
_cell_angle_gamma 90.00
loop_
_atom_site_label
_atom_site_type_symbol
_atom_site_fract_x
_atom_site_fract_y
_atom_site_fract_z
Li1 Li 0.000 0.000 0.000
Zn1 Zn 0.000 0.000 0.500
Zn2 Zn 0.000 0.500 0.250
Cd1 Cd 0.000 0.500 0.750
# Density of states at the Fermi level: 1.01 states/eV/f.u.
# E_tot: -1.48 eV per atom

=====

Entry 2:
# GaHg2AuI, relaxed, DFT PBE
data_GaHg2AuI
_chemical_formula_sum 'Ga1 Hg2 Au1 I1'
_symmetry_space_group_name_H-M 'P 4/m m m'
_symmetry_Int_Tables_number 123
_symmetry_space_group_name_Hall '-P 4 2'
_cell_length_a 5.490
_cell_length_b 5.490
_cell_length_c 5.124
_cell_angle_alpha 90.00
_cell_angle_beta 90.00
_cell_angle_gamma 90.00
loop_
_atom_site_label
_atom_site_type_symbol
_atom_site_fract_x
_atom_site_fract_y
_atom_site_fract_z
Ga1 Ga 0.000 0.000 0.000
Hg1 Hg 0.000 0.500 0.500
Au1 Au 0.000 0.000 0.500
I1 I 0.500 0.500 0.000
# Density of states at the Fermi level: 1.28 states/eV/f.u.
# E_form (uncorrected): -0.09 eV per atom
# E_tot: -1.79 eV per atom

=====

Entry 3:
# BiSbCl2, relaxed, DFT PBE
data_BiSbCl2
_chemical_formula_sum 'Bi3 Sb3 Cl6'
_symmetry_space_group_name_H-M 'R -3 m'
_symmetry_Int_Tables_number 166
_symmetry_space_group_name_Hall '-R 3 2"'
_cell_length_a 3.4829
_cell_length_b 3.4829
_cell_length_c 30.6435
_cell_angle_alpha 90.00
_cell_angle_beta 90.00
_cell_angle_gamma 120.00
loop_
_atom_site_label
_atom_site_type_symbol
_atom_site_fract_x
_atom_site_fract_y
_atom_site_fract_z

    Prof. Yasel José Costa Salas, FH Oberösterreich (Austria)

  • Zeit:


A Hilly City Approach for the Vehicle Routing Problems

One of the main concerns of urban logistics focuses on generating actions aimed at improving cargo transport systems, in such a way that the environmental and social impacts of their operations are reduced. Therefore, the selection of vehicle distribution routes becomes a decisive element not only in reducing costs, operating times and service level, but also in the reducing fuel consumption, emissions of greenhouse gases, pollution and accidents, which makes the problem acquire a sustainable perspective.

Traditionally, it is considered that the shortest route is the one that minimizes the costs, the operation time and the environmental impact of the distribution activities. However, when establishing a route in urban scenarios, it must be taken into account that the route between two points is not necessarily symmetrical because of the infrastructure, the road directions, and the traffic restrictions due to vehicles weight, among others. In addition, in hilly cities, the above conditions also have a high impact, since when a vehicle moves between two points, there are multiple changes of both positive and negative gradients. These considerations make the traditional approach of the problem more complex, owing to the fact that the selection of the shortest route can lead to taking the route with higher road gradients, which directly affects variables such as fuel consumption, emissions and accident risks.

According to the above, we propose a model for the assessment of distribution routes in mountain cities, which has as elements of decision the power required by the vehicle, the amount of fuel consumed and their respective emissions. On the basis of information retrieved from a geographic information system, an origin-destination matrix is estimated, by means of which a topographic profile between nodes is created to analyze the components of uniformly accelerated and uniformly rectilinear movement of the vehicle, starting from variables such as weight, speed of travel and changes in road gradient.

== The text is interrupted by materials data ==
- - -
# 1
BaIn2Se, optimized geometry, DFT PBE; D(E_F) = 4.345 states/eV/cell; total moment = 0.00 μB per formula unit; theoretical density = 5.5 g/cm³; energy relative to the elements, uncorrected = -0.57 eV/atom; total DFT energy (no corrections) = -3.29 eV/atom
1.0
-8.6755 -1.5037 2.3456
0.1605 -7.9280 -4.4888
-3.2633 -6.2286 1.6358
In Ba Se
4 2 2
direct
0.5748 0.1250 0.2500
0.3750 0.4252 0.7500
0.8750 0.8248 0.7500
0.1752 0.6250 0.2500
0.7500 0.2500 0.5000
0.0000 0.0000 0.0000
0.2500 0.7500 0.5000
0.5000 0.5000 0.0000

---

# 2
CdOsBr2, optimized geometry, DFT PBE; D(E_F) = 3.240 states/eV/cell; energy relative to the lowest polymorph listed for this composition = 293.7 meV per atom; total moment = 0.00 μB per formula unit; theoretical density = 8.4 g/cm³; energy relative to the elements, uncorrected = 0.53 eV/atom; total DFT energy (no corrections) = -3.35 eV/atom
1.0
-8.5073 5.4330 5.2592
-6.8234 4.8113 7.7359
-6.2441 7.3188 6.0826
Os Cd Br
1 1 2
direct
0.0000 0.0000 0.0000
0.5000 0.5000 0.5000
0.9298 0.9298 0.9298
0.0702 0.0702 0.0702

---

# 3
Na3Mg2H6, optimized geometry, DFT PBE; D(E_F) = 1.339 states/eV/cell; total moment = 0.51 μB per formula unit; theoretical density = 1.4 g/cm³; total DFT energy (no corrections) = -2.59 eV/atom
1.0
-1.9979 2.2733 -2.4619
-1.7366 -3.1537 -1.5029
-5.0098 1.2231 8.2861
Mg H Na
2 6 3
direct
0.5933 0.5933 0.1865
0.4067 0.4067 0.8135
0.3032 0.3032 0.6064
0.4121 0.9121 0.8243
0.0879 0.5879 0.1757
0.6968 0.6968 0.3936
0.9121 0.4121 0.8243
0.5879 0.0879 0.1757
0.1856 0.1856 0.3712
0.8144 0.8144 0.6288
0.0000 0.0000 0.0000

---

# 4
Tb2PrHo2, optimized geometry, DFT PBE; calculated formation energy = 0.510 eV per atom; D(E_F) = 17.188 states/eV/cell; energy relative to the lowest polymorph listed for this composition = 427.9 meV per atom; total moment = 0.00 μB per formula unit; theoretical density = 7.1 g/cm³; total DFT energy (no corrections) = -4.13 eV/atom
1.0
-3.8558 2.3467 4.5998
-1.4658 -1.6741 -6.0482
0.3731 -10.9293 4.2107
Tb Ho Pr
4 4 2
direct
0.0802 0.9198 0.5000
0.1698 0.8302 0.0000
0.4198 0.5802 0.5000
0.8302 0.1698 0.0000
0.1250 0.3750 0.7500
0.6250 0.3750 0.2500
0.6250 0.3750 0.7500
0.6250 0.8750 0.2500
0.7500 0.2500 0.5000
0.5000 0.5000 0.0000

---

# 5
TlGeBrCl2, optimized geometry, DFT PBE; D(E_F) = 0.003 states/eV/cell; energy relative to the lowest polymorph listed for this composition = 19.9 meV per atom; total moment = 0.00 μB per formula unit; theoretical density = 4.7 g/cm³; energy relative to the elements, uncorrected = -0.80 eV/atom; total DFT energy (no corrections) = -3.27 eV/atom
1.0
5.2361 0.0000 0.0000
0.0000 5.2361 0.0000
0.0000 0.0000 5.5665
Cl Ge Br Tl
2 1 1 1
direct
0.0000 0.5000 0.0000
0.5000 0.0000 0.0000
0.0000 0.0000 0.0000
0.0000 0.0000 0.5000
0.5000 0.5000 0.5000

---

# 6
- - -

The road gradient plays a fundamental role in the generation of the route, since it is expected that the routes with lower inclinations or descent will be selected, especially when the vehicle has a greater load, in order to decrease the fuel consumption and the quantity of emissions.

In future research lines, it is planned to include the location of the distribution centers within the decisions of the model, taking into account the limitations of size, access, and proximity to the routes with less variation in the gradients of the roads.